
Language learning

My articles related to language learning.


Weekly question #9 What impact has AI had on your life?

Weekly question #9 What impact has AI had on your life?

This article will be about the weekly question from 英語手帳 2024.

Weekly question: What impact has AI had on your life?

I never thought that I would use AI to assist me in studying English. I currently

Studying English is to face myself/英語と向き合うこと

Studying English is to face myself/英語と向き合うこと


I started to restudy English and enjoy listening to English conversation programs. English was always with me from my childhood. I am certain that I love to study or use English

Reasons why I continue studying English/いい加減、日常会話レベルから脱け出したい

Reasons why I continue studying English/いい加減、日常会話レベルから脱け出したい

*After the English follows Japanese.
I tried to write the article in same subject but different words came out of my mind. So the sentences are not directly translated. Even the title is different.

Eigo-techo and note open my mind

Eigo-techo and note open my mind

I really feel I'm lucky to find out about Eigo-techo and decided to use it for studying. Especially, the schedule book fits well with this note.

We can write short posts and articles on note. Making

Weekly question #6 Elon Musk says AI could lead to "civilization destruction", do you agree?

Weekly question #6 Elon Musk says AI could lead to "civilization destruction", do you agree?

This article will be about the weekly question from 英語手帳 2024.

Weekly question: Elon Musk says AI could lead to "civilization destruction", do you agree?

Inserted here: records of crystals >
____________
[1]
Ca2CdSn: computed XRD peak list (CuKα), based on a GGA-PBE-relaxed structure.
Peak positions follow from Bragg's law for the DFT cell and can differ from measured ones.

Structural model:
abc: 7.710 7.710 7.710
angles: 90.00 90.00 90.00
Positions (direct):
Ca 0.250 0.250 0.250
Ca 0.250 0.250 0.750
Ca 0.250 0.750 0.250
Ca 0.250 0.750 0.750
Ca 0.750 0.250 0.250
Ca 0.750 0.250 0.750
Ca 0.750 0.750 0.250
Ca 0.750 0.750 0.750
Cd 0.000 0.000 0.000
Cd 0.000 0.500 0.500
Cd 0.500 0.000 0.500
Cd 0.500 0.500 0.000
Sn 0.000 0.000 0.500
Sn 0.000 0.500 0.000
Sn 0.500 0.000 0.000
Sn 0.500 0.500 0.500

Top 6 peaks for 10° ≤ 2θ ≤ 90°, by intensity:
two_theta  I/Imax
32.9  1000
58.7  362
23.1  261
47.2  177
78.5  154
53.1  121

---

[2]
RbMg14Ti: computed XRD peak list (CuKα), based on a GGA-PBE-relaxed structure.
Peak positions follow from Bragg's law for the DFT cell and can differ from measured ones.

Structural model:
abc: 6.575 6.575 10.465
angles: 90.00 90.00 120.00
Positions (direct):
Rb 0.000 0.000 0.000
Mg 0.011 0.505 0.000
Mg 0.169 0.337 0.269
Mg 0.169 0.337 0.731
Mg 0.169 0.831 0.269
Mg 0.169 0.831 0.731
Mg 0.495 0.505 0.000
Mg 0.495 0.989 0.000
Mg 0.502 0.004 0.500
Mg 0.502 0.498 0.500
Mg 0.663 0.831 0.269
Mg 0.663 0.831 0.731
Mg 0.667 0.333 0.245
Mg 0.667 0.333 0.755
Mg 0.996 0.498 0.500
Ti 0.000 0.000 0.500

Top 6 peaks for 10° ≤ 2θ ≤ 90°, by intensity:
two_theta  I/Imax
35.9  1000
31.4  264
34.3  238
67.3  182
55.9  176
62.4  171

---

[3]
La6ZnSi2S14: computed XRD peak list (CuKα), based on a GGA-PBE-relaxed structure.
Peak positions follow from Bragg's law for the DFT cell and can differ from measured ones.

Structural model:
abc: 10.373 10.373 5.776
angles: 90.00 90.00 120.00
Positions (direct):
La 0.023 0.456 0.000
La 0.311 0.211 0.500
La 0.433 0.977 0.000
La 0.544 0.567 0.000
La 0.789 0.099 0.500
La 0.901 0.689 0.500
Zn 0.667 0.333 0.737
Si 0.000 0.000 0.085
Si 0.333 0.667 0.586
S 0.000 0.000 0.720
S 0.075 0.218 0.226
S 0.143 0.925 0.226
S 0.191 0.742 0.727
S 0.258 0.449 0.727
S 0.333 0.667 0.222
S 0.424 0.250 0.979
S 0.505 0.091 0.500
S 0.551 0.809 0.727
S 0.585 0.495 0.500
S 0.750 0.173 0.979
S 0.782 0.857 0.226
S 0.827 0.576 0.979
S 0.909 0.415 0.500

Top 6 peaks for 10° ≤ 2θ ≤ 90°, by intensity:
two_theta  I/Imax
25.1  1000
39.4  580
36.0  556
23.0  476
37.0  376
____________

I found the article from the website below

Weekly question #3 Would you call yourself a procrastinator?

Weekly question #3 Would you call yourself a procrastinator?

This article will be about the weekly question from 英語手帳 2024.

_The entry is interrupted by calculated crystals_
~~~
Structure and calculated powder diffractogram of K2FeAs2O6 (the GGA+U geometry in Alexandria; Cu Kα (λ = 1.5418 Å)).
Neutral-atom scattering factors, no anomalous dispersion.

Most intense lines, 2θ = 15–90°, low angle first:
hkl, 2θ (°), Rel. int.
1 1 0, 18.2, 37
2 0 0, 20.2, 46
3 1 -1, 30.5, 100
0 2 0, 30.7, 53
0 0 2, 30.9, 32
1 1 -2, 31.3, 92

abc: 10.1662 5.8291 6.6857
angles: 90.00 120.06 90.00
Space group C2/m (No. 12)
Asymmetric unit:
K 0.2074 0.0000 0.1813
Fe 0.0000 0.0000 0.5000
As 0.0487 0.5000 0.2122
O 0.0328 0.2549 0.7516
O 0.2425 0.5000 0.3621



Structure and calculated powder diffractogram of K3FeAs2O6 (the GGA+U geometry in Alexandria; Cu Kα (λ = 1.5418 Å)).
Neutral-atom scattering factors, no anomalous dispersion.

Most intense lines, 2θ = 15–90°, low angle first:
hkl, 2θ (°), Rel. int.
1 0 1, 22.0, 27
1 1 0, 31.3, 100
2 0 2, 44.9, 32
3 0 0, 55.8, 31
2 2 0, 65.4, 18
3 1 2, 74.3, 11

abc: 5.7045 5.7045 6.9951
angles: 90.00 90.00 120.00
Space group P-3m1 (No. 164)
Asymmetric unit:
K 0.0000 0.0000 0.0000
K 0.3333 0.6667 0.6678
Fe 0.0000 0.0000 0.5000
As 0.3333 0.6667 0.2139
O 0.1690 0.3381 0.3228



Structure and calculated powder diffractogram of La4FeAs4Ru3O4 (the GGA+U geometry in Alexandria; Cu Kα (λ = 1.5418 Å)).
Neutral-atom scattering factors, no anomalous dispersion.

Most intense lines, 2θ = 15–90°, low angle first:
hkl, 2θ (°), Rel. int.
1 0 4, 29.8, 100
1 1 2, 32.3, 28
1 1 4, 37.0, 34
2 0 0, 43.8, 42
1 1 8, 52.4, 39
2 1 4, 53.9, 38

abc: 4.1348 4.1348 17.4107
angles: 90.00 90.00 90.00
Space group P-4m2 (No. 115)
Asymmetric unit:
La 0.0000 0.5000 0.1775
La 0.0000 0.5000 0.6846
Fe 0.0000 0.0000 0.5000
As 0.0000 0.5000 0.4181
As 0.0000 0.5000 0.9252
Ru 0.0000 0.0000 0.0000
Ru 0.5000 0.5000 0.0000
Ru 0.5000 0.5000 0.5000
O 0.0000 0.0000 0.2465
O 0.5000 0.5000 0.2471



Structure and calculated powder diffractogram of La4FeAs4Ru3O4 (the GGA+U geometry in Alexandria; Cu Kα (λ = 1.5418 Å)).
Neutral-atom scattering factors, no anomalous dispersion.

Most intense lines, 2θ = 15–90°, low angle first:
hkl, 2θ (°), Rel. int.
1 1 2, 29.8, 100
2 0 1, 32.4, 28
2 0 2, 37.1, 34
2 2 0, 44.0, 41
2 0 4, 52.2, 40
3 1 2, 54.0, 37

abc: 5.8210 5.8210 8.7775
angles: 90.00 90.00 90.00
Space group P-42m (No. 111)
Asymmetric unit:
La 0.2491 0.2491 0.1376
Fe 0.5000 0.5000 0.5000
As 0.2389 0.2389 0.6581
Ru 0.0000 0.0000 0.5000
Ru 0.0000 0.5000 0.5000
O 0.0000 0.0000 0.0000
O 0.0000 0.5000 0.0000
O 0.5000 0.5000 0.0000



Structure and calculated powder diffractogram of La3YFe4As4O4 (the GGA+U geometry in Alexandria; Cu Kα (λ = 1.5418 Å)).
Neutral-atom scattering factors, no anomalous dispersion.

Most intense lines, 2θ = 15–90°, low angle first:
hkl, 2θ (°), Rel. int.
1 0 2, 29.3, 100
1 2 0, 30.7, 20
1 2 2, 36.7, 24
2 0 0, 43.9, 35
1 2 4, 51.1, 29
1 4 2, 53.7, 36

abc: 4.1231 8.2366 9.0457
angles: 90.00 90.00 90.00
Space group Pmm2 (No. 25)
Asymmetric unit:
La 0.0000 0.0000 0.0000
La 0.5000 0.2532 0.7351
Y 0.0000 0.5000 0.9829
~~~

Weekly question: Would you call yourself a procrastinator?

Yes, I am a procrastinator.
I can list up things that I put off.

Cleaning u

Becoming a fan of 英語手帳

Becoming a fan of 英語手帳

I have started using 英語手帳 this year and 10 days have passed. Only 10 days! But I'm already a fan of this schedule book. And I regretted not using it earlier. I knew about it from when I was updating m

News reading/Nov. 7, 2023

News reading/Nov. 7, 2023

I often read news on website practicewithnews.com.
Today, I wanted to share this news.

This news is about Cup Noodles.
When we prepare the Cup Noodles, we usually need boiled hot water. However, it

No mistakes, no gain

No mistakes, no gain

There is a proverb "no pain, no gain" which means to achieve something by suffering or working hard. Instead, I thought as the title "no mistakes, no gain" would explain what I think about studying En

To improve my writing skills

To improve my writing skills

I am reading a book by Kindle Unlimited about writing skills. The book title and reference by James M. Vardaman are at the bottom of this note.

Reading from the beginning of this book, I thought I co

CNN English Express

CNN English Express

I didn't know about CNN English Express until recently. I was looking for what I can read in English by Kindle unlimited a few weeks ago.

I have read news from CNN website, but I haven't recognized a
